Category: Relationship

how to write a song

May 14, 2022

Have you ever wished that your song was the one that played on the radio? Could be. It’s not that hard once you know the formula. With a little creativity, a little knowledge, a little luck, and a good formula to follow, your song could be one of the next big hits. Writing songs is…

Wenda’s costume is a timeless classic

May 13, 2022

Wenda’s costume has it all. Whether you’re looking for a costume for Halloween or some other fancy dress party, searching for the right costume can be frustrating. Here’s an idea that might be perfect for you: Why not check out the “Where’s Wally” costume series? Waldo is a fun and comfortable costume for men, but…

Monitoring your children’s social media: Facebook and WhatsApp monitoring

May 12, 2022

Parents worry about their children all the time on social networks like Facebook. If they become too nosy, they will look awkward in front of their children. If you are also struggling with the same situation, we understand your problem. There is a way to control your children’s activities on Facebook and WhatsApp without hindering…

Delicious Sausage Recipes We Bet You Haven’t Tried

May 11, 2022

Sausages are a lot like hot dogs: they’re comfort food, easy to prepare, and most of all, versatile. While they are good to eat on their own, they taste even better on a plate. These much-loved pieces of meat are eaten primarily for breakfast, but can also be used as an ingredient to create hearty,…

7 keys to be prepared to sell your house!

May 10, 2022

Since for most people the value of their home often represents one of their most valuable assets, doesn’t it make sense to make sure they sell their home when they want to? they can make the best possible deal! After more than 15 years as a licensed real estate seller in New York State, I…

The Ten Commandments of Parenting a Teenager – Revised Edition

May 9, 2022

If you are the parent of a teenager, all advice is welcome. This is what I thought before reading what Busy Mom wrote in The Ten Commandments of Parenting a Teenager. And I ask you, “With parents who think like that, who needs enemies?” The article states that parents must be very careful with what…

Misplaced data records:
____________
Li3NiB5O10: theoretical X-ray powder pattern (Cu Ka), based on a crystal structure in Alexandria, relaxed with PBE+U.

Largest 12 diffraction maxima, by intensity, 15 to 90 degrees two-theta:
| 2θ/deg | Rel. int. | (hkl) |
| --- | --- | --- |
| 30.07 | 100 | 2 1 2 |
| 17.74 | 53 | 1 0 -1 |
| 29.45 | 52 | 0 2 0 |
| 22.18 | 44 | 1 1 2 |
| 20.99 | 43 | 1 1 -1 |
| 15.66 | 34 | 1 1 1 |
| 30.43 | 31 | 2 0 -1 |
| 15.31 | 30 | 0 1 1 |
| 29.83 | 28 | 1 1 -2 |
| 39.82 | 22 | 3 2 0 |
| 34.35 | 21 | 0 2 -1 |
| 34.18 | 20 | 1 2 3 |

Atomic structure:
Cell lengths 7.1584, 7.1895, 8.8417 Å; angles 70.23, 80.19, 62.05 degrees
Space group P-1 (No. 2)
Asymmetric unit:
Li: 0.0294 0.1532 0.3372
Li: 0.1723 0.0170 0.9595
Li: 0.4508 0.2070 0.8059
Ni: 0.4781 0.7842 0.5894
B: 0.1156 0.5916 0.2014
B: 0.1200 0.1915 0.6113
B: 0.2468 0.6371 0.9118
B: 0.2558 0.2806 0.0827
B: 0.2680 0.6862 0.3852
O: 0.0598 0.8082 0.4377
O: 0.0967 0.2729 0.7390
O: 0.1274 0.3862 0.1949
O: 0.1408 0.7319 0.0363
O: 0.2547 0.7699 0.7645
O: 0.2871 0.5400 0.3050
O: 0.3011 0.0739 0.0957
O: 0.3008 0.1152 0.5288
O: 0.3321 0.4062 0.9489
O: 0.4291 0.7174 0.4054


Starting from DFT lattice parameters and positions (GGA+U), the XRD peak list of LaCu3Ni4O12 was simulated for Cu Kα.

Top 10 peaks for 2θ from 10° to 80°, by angle:
two_theta, d (Å), I_rel
17.1, 5.199, 7.0
29.8, 3.002, 2.0
34.5, 2.600, 100.0
38.7, 2.325, 8.0
42.6, 2.123, 3.1
46.2, 1.965, 7.0
49.6, 1.838, 23.7
61.8, 1.501, 46.6
64.6, 1.442, 1.9
72.8, 1.300, 11.6

Atomic structure:
Cell: 6.3678 6.3678 6.3678 Å, 109.47 109.47 109.47°
Positions (direct):
La (0.0000, 0.0000, 0.0000)
Cu (0.0000, 0.5000, 0.5000)
Cu (0.5000, 0.0000, 0.5000)
Cu (0.5000, 0.5000, 0.0000)
Ni (0.0000, 0.0000, 0.5000)
Ni (0.0000, 0.5000, 0.0000)
Ni (0.5000, 0.0000, 0.0000)
Ni (0.5000, 0.5000, 0.5000)
O (0.1407, 0.8285, 0.3122)
O (0.1715, 0.3122, 0.4837)
O (0.1715, 0.6878, 0.8593)
O (0.3122, 0.1407, 0.8285)
O (0.3122, 0.4837, 0.1715)
O (0.4837, 0.1715, 0.3122)
O (0.5163, 0.8285, 0.6878)
O (0.6878, 0.5163, 0.8285)
O (0.6878, 0.8593, 0.1715)
O (0.8285, 0.3122, 0.1407)
O (0.8285, 0.6878, 0.5163)
O (0.8593, 0.1715, 0.6878)
____________

Special Education Programs Meeting the Needs of Students in Nassau County

May 7, 2022

Children’s Preparation Center Student Disability: Significant developmental delays, including autism and mental retardation Student Age: 5 to 8 (early elementary) Students attending this state-of-the-art early education center on Long Island need a highly individualized behavioral approach and a small class size (6:1:2). As part of its educational/behavioral approach, the program’s specially trained staff tracks the…

Health begins with water

May 6, 2022

Health begins with water. Since the body is mostly made up of water (about 70%), all body functions depend on water. I guess you could call water a universal solvent. Most nutrients, with the exception of fats, dissolve in water, are transported in the water-based blood system, and are used by water-filled cells. And, because…

4 tips for proper sitting posture

May 5, 2022

You don’t have to learn proper posture when sitting alone to look amazingly sexy, although that could be a plus. If you don’t know how to sit properly, you tend to develop back pain and discomfort. 1. Make sure your feet are on the ground. Usually, if your feet don’t touch the floor, your reaction…

Impress your new in-laws with personalized gifts

May 4, 2022

Get off to a good start with your in-laws In real life, your in-laws can be your best friends if you know how to treat them with white gloves, just like you please your parents. From day one, show them that you are worthy of their offspring. Offer them personalized gifts with a short special…